The Associated Students of Madison’s Student Services Finance Committee met Thursday to determine the budget of Badger Catholic for the fiscal year 2014-2015 and to hear a budget presentation from BadgerSPILL.
Badger Catholic
Badger Catholic was granted a final budget of $95,755.80 after little discussion with a vote of 10-0-1. The amount is a 5.15 percent reduction from the 2012-2013 fiscal year.
The organization asked for a decrease in funding from the previous fiscal year for advertising, printing and photocopying and an increase in money for food, beverages and speaker fees.
Members of SSFC said they felt comfortable with the group’s budget.
== Here the piece breaks off for materials data ==
'''
Entry from the Alexandria database: KLaMn2 after structural relaxation (PBE-GGA).

The value obtained for the energy relative to the elements is 703 meV per atom. The total energy is -5.3882 eV/atom. The value obtained for the total magnetization is 1.656 μB per atom.

It has space group Pm (No. 6), with a = 3.530 Å, b = 4.730 Å, c = 7.577 Å, α = 90.00°, β = 103.38° and γ = 90.00°. The asymmetric unit holds K at (0.000, 0.000, 0.000), La at (0.707, 0.500, 0.412), Mn at (0.284, 0.000, 0.568) and Mn at (0.367, 0.500, 0.734).

---

Entry from the Alexandria database: Na2SmSO6 after structural relaxation (PBE-GGA).

The total energy is -5.6732 eV/atom. The value obtained for the total magnetization is 0.104 μB per atom.

It has space group P-3m1 (No. 164), with a = 5.7766 Å, b = 5.7766 Å, c = 5.7679 Å, α = 90.00°, β = 90.00° and γ = 120.00°. The asymmetric unit holds Na at (0.3333, 0.6667, 0.4648), Sm at (0.0000, 0.0000, 0.0000), S at (0.0000, 0.0000, 0.5000) and O at (0.1372, 0.2743, 0.6710).

---

Entry from the Alexandria database: Pu2ZrPd9 after structural relaxation (PBE-GGA).

The value obtained for the energy relative to the elements is -644 meV per atom. The total energy is -7.6397 eV/atom. The value obtained for the total magnetization is 0.790 μB per atom.

It has space group P4/mmm (No. 123), with a = 4.107 Å, b = 4.107 Å, c = 12.375 Å, α = 90.00°, β = 90.00° and γ = 90.00°. The asymmetric unit holds Pu at (0.000, 0.000, 0.168), Zr at (0.000, 0.000, 0.500), Pd at (0.000, 0.500, 0.000), Pd at (0.000, 0.500, 0.342), Pd at (0.500, 0.500, 0.172) and Pd at (0.500, 0.500, 0.500).

----------

# La4Tb6Pm

A relaxed structure of La4Tb6Pm (PBE-GGA, the Alexandria database).

Cell: 6.838 6.838 16.843 Å, 90.00 90.00 90.00°
Space group I-42m (No. 121)
Asymmetric unit:
La 0.191 0.191 0.323
Tb 0.000 0.500 0.000
Tb 0.173 0.173 0.117
Pm 0.000 0.000 0.500

The value obtained for the electronic total energy is -98.06 eV per cell. Its crystal system is tetragonal. The spin magnetization is 0.00 μB/atom. For the distance to the lowest polymorph of the same formula, the calculation gives 0.131 eV/atom. As for the formation energy: 292.0 meV/atom. Its density of states at the Fermi level is 31.09 states/eV/cell.
'''
BadgerSPILL is an anonymous support system that is run online, that allows UW-Madison students to confidentially vent about typical college problems students experience on campus, SPILL President Laura Roberson said.
Unrelated to this text: crystal structures:
-- begin --
No. 1
K2YThSe4 after structural relaxation, computed with GGA-PBE.

CIF file:
```
data_K2YThSe4
_chemical_formula_sum 'K2 Y1 Th1 Se4'
_symmetry_space_group_name_H-M 'P 1 2/m 1'
_symmetry_Int_Tables_number 10
_symmetry_space_group_name_Hall '-P 2y'
_cell_length_a 7.333
_cell_length_b 4.228
_cell_length_c 8.133
_cell_angle_alpha 90.00
_cell_angle_beta 107.35
_cell_angle_gamma 90.00
loop_
_atom_site_label
_atom_site_type_symbol
_atom_site_fract_x
_atom_site_fract_y
_atom_site_fract_z
K1 K 0.000 0.000 0.000
K2 K 0.500 0.500 0.000
Y1 Y 0.000 0.500 0.500
Th1 Th 0.500 0.000 0.500
Se1 Se 0.234 0.000 0.709
Se2 Se 0.257 0.500 0.285
```

No. 2
K4Y3ThSe8 after structural relaxation, computed with GGA-PBE.

CIF file:
```
data_K4Y3ThSe8
_chemical_formula_sum 'K12 Y9 Th3 Se24'
_symmetry_space_group_name_H-M 'R -3 m'
_symmetry_Int_Tables_number 166
_symmetry_space_group_name_Hall '-R 3 2"'
_cell_length_a 8.4490
_cell_length_b 8.4490
_cell_length_c 23.1478
_cell_angle_alpha 90.00
_cell_angle_beta 90.00
_cell_angle_gamma 120.00
loop_
_atom_site_label
_atom_site_type_symbol
_atom_site_fract_x
_atom_site_fract_y
_atom_site_fract_z
K1 K 0.0000 0.0000 0.0000
K2 K 0.0000 0.5000 0.0000
Y1 Y 0.0000 0.5000 0.5000
Th1 Th 0.0000 0.0000 0.5000
Se1 Se 0.0000 0.0000 0.2354
Se2 Se 0.0026 0.5013 0.7634
```

No. 3
K3Y3ThSe8 after structural relaxation, computed with GGA-PBE.

CIF file:
```
data_K3Y3ThSe8
_chemical_formula_sum 'K9 Y9 Th3 Se24'
_symmetry_space_group_name_H-M 'R -3 m'
_symmetry_Int_Tables_number 166
_symmetry_space_group_name_Hall '-R 3 2"'
_cell_length_a 8.4282
_cell_length_b 8.4282
_cell_length_c 23.4006
_cell_angle_alpha 90.00
_cell_angle_beta 90.00
_cell_angle_gamma 120.00
loop_
_atom_site_label
_atom_site_type_symbol
_atom_site_fract_x
_atom_site_fract_y
_atom_site_fract_z
K1 K 0.0000 0.5000 0.0000
Y1 Y 0.0000 0.5000 0.5000
Th1 Th 0.0000 0.0000 0.5000
Se1 Se 0.0000 0.0000 0.2345
Se2 Se 0.0034 0.5017 0.7655
```

No. 4
K2ThZnSe4 after structural relaxation, computed with GGA-PBE.

CIF file:
```
data_K2ThZnSe4
_chemical_formula_sum 'K8 Th4 Zn4 Se16'
_symmetry_space_group_name_H-M 'C 1 2/c 1'
_symmetry_Int_Tables_number 15
_symmetry_space_group_name_Hall '-C 2yc'
_cell_length_a 11.891
_cell_length_b 12.760
_cell_length_c 8.719
_cell_angle_alpha 90.00
_cell_angle_beta 132.67
_cell_angle_gamma 90.00
loop_
_atom_site_label
_atom_site_type_symbol
_atom_site_fract_x
_atom_site_fract_y
_atom_site_fract_z
K1 K 0.000 0.000 0.000
K2 K 0.250 0.250 0.000
Th1 Th 0.250 0.250 0.500
Zn1 Zn 0.000 0.500 0.000
Se1 Se 0.011 0.248 0.042
Se2 Se 0.204 0.483 0.498
```

No. 5
K5Ti2Se6 after structural relaxation, computed with GGA-PBE.

CIF file:
```
data_K5Ti2Se6
_chemical_formula_sum 'K20 Ti8 Se24'
_symmetry_space_group_name_H-M 'C 1 2/c 1'
_symmetry_Int_Tables_number 15
_symmetry_space_group_name_Hall '-C 2yc'
_cell_length_a 13.138
_cell_length_b 8.314
_cell_length_c 17.220
_cell_angle_alpha 90.00
_cell_angle_beta 102.19
_cell_angle_gamma 90.00
loop_
_atom_site_label
-- stop --
While the website offers help and support on a variety of problems, the categories that receive the most postings are romantic relationships and academics, Jessie Gartzke, SPILL’s vice president of finance, said.
The group requested a budget of $42,789.25, which is a $1,763.25 increase from the 2013-2014 fiscal year, Gartzke said.
The increase is due to the groups’ desire to pay the vice president position and to increase the allotted amount of money for advertising, Roberson said.
A portion of the increase,$1,516.35 will be allotted to the vice president of marketing salary. SPILL requested that $10,000 of its budget be allotted for advertising and marketing in general.
“Advertising is important especially for our organization because we are run online,” Gartzke said. “By advertising in school newspapers and running online ads, we are able to promote our site to a wide variety of students.”
Included in the costs for advertising are the creation of promotional items such as water bottles, coffee mugs and stress balls, Gartzke said.
SSFC Rep. Callen Raveret questioned how successful the vice president of marketing position would be, if it were paid.
“We see value in advertising and we want the best person possible to do it. We think that whoever fills this position would put forth more time and effort if they were getting paid to do so,” Roberson said.
Roberson said the current vice president of marketing has put in more hours this year than the vice president of finance and that the paid position would include taking on some of the president’s responsibilities as well.
“We’ve made it our goal to increase our marketing this year and we feel that in the end this position will be worth it,” Roberson said.
SSFC will vote whether to approve SPILL’s budget at its next meeting Monday.